
Oh, Rowen, please just eat!

I know some of you have been waiting to hear how Rowen's feeding evaluation went... Where do I start? The therapist was nice, and empathetic, but I still have WAY more questions than answers. She did what all medical professionals do when they don't have answers, she gave us a referral! (To a GI Dr.) She seems to think that he is purposefully limiting his food intake because his tummy hurts. She thinks he has reflux, due to the symptoms I gave her. The good news is that he chews and swallows correctly. She was really concerned that he isn't gaining weight, and even more concerned that he isn't drinking enough fluids, so I have to 'power pack' his food. That is, I have to add more calories to his food, without adding more bulk. That is REALLY difficult to do when you can't use dairy or soy!! So I have been adding coconut milk, canola oil, and formula powder to his baby foods. He has been tolerating that okay, but as for the fluids, I am at a loss! What do you give a baby to drink when he can't have soy or dairy, and the Dr. says not to give him juice or rice milk because it has so little "nutritional content!" I really am worried about the kid! I keep telling myself that he will not still be eating baby food when he is in kindergarten, right? Someday he will be a big teenager that can eat an entire pizza by himself, right? But for now Rowen, your mommy would get a lot more sleep at night if you would just EAT!!

# The page is interrupted by crystal structures
<<<
1.
The following is a PBE calculation of a relaxed PmHoNi3 crystal, from Alexandria via LeMat-Bulk.

a = 4.000 Å, b = 3.905 Å, c = 12.240 Å
α = 99.18°, β = 90.00°, γ = 90.00°
Atoms (fractional coordinates):
1 Pm 0.250 0.072 0.144
2 Pm 0.750 0.928 0.856
3 Ho 0.250 0.796 0.592
4 Ho 0.750 0.204 0.408
5 Ni 0.250 0.378 0.756
6 Ni 0.750 0.622 0.244
7 Ni 0.250 0.475 0.950
8 Ni 0.750 0.525 0.050
9 Ni 0.750 0.324 0.648
10 Ni 0.250 0.676 0.352

energy = -5.73 eV/atom
space-group type = Cmcm, No. 63

***

2.
The following is a PBE calculation of a relaxed Sc3CdGa crystal, from Alexandria via LeMat-Bulk.

a = 5.236 Å, b = 5.236 Å, c = 5.236 Å
α = 90.00°, β = 90.00°, γ = 90.00°
Atoms (fractional coordinates):
1 Sc 0.000 0.500 0.000
2 Sc 0.000 0.000 0.500
3 Sc 0.500 0.000 0.000
4 Ga 0.500 0.500 0.500
5 Cd 0.000 0.000 0.000

energy relative to the lowest polymorph listed for this composition = 849 meV/atom
space-group type = Pm-3m, No. 221

***

3.
The following is a PBE calculation of a relaxed AcSn12Pd6 crystal, from Alexandria via LeMat-Bulk.

a = 8.141 Å, b = 8.141 Å, c = 8.141 Å
α = 106.59°, β = 106.59°, γ = 106.59°
Atoms (fractional coordinates):
1 Ac 0.000 0.000 0.000
2 Sn 0.880 0.120 0.500
3 Sn 0.859 0.598 0.598
4 Sn 0.598 0.598 0.859
5 Sn 0.402 0.141 0.402
6 Sn 0.402 0.402 0.141
7 Sn 0.141 0.402 0.402
8 Sn 0.120 0.500 0.880
9 Sn 0.500 0.880 0.120
10 Sn 0.120 0.880 0.500
11 Sn 0.880 0.500 0.120
12 Sn 0.500 0.120 0.880
13 Sn 0.598 0.859 0.598
14 Pd 0.707 0.280 0.280
15 Pd 0.280 0.280 0.707
16 Pd 0.280 0.707 0.280
17 Pd 0.720 0.720 0.293
18 Pd 0.293 0.720 0.720
19 Pd 0.720 0.293 0.720

energy = -4.71 eV/atom
space-group type = R-3m, No. 166

***

4.
The following is a PBE calculation of a relaxed ReHgW2 crystal, from Alexandria via LeMat-Bulk.

a = 2.785 Å, b = 2.785 Å, c = 9.345 Å
α = 90.00°, β = 90.00°, γ = 109.73°
Atoms (fractional coordinates):
1 Hg 0.500 0.500 0.250
2 Re 0.500 0.500 0.750
3 W 0.000 0.000 0.979
4 W 0.000 0.000 0.521

energy = -9.15 eV/atom
space-group type = Cmmm, No. 65

***

5.
The following is a PBE calculation of a relaxed KSmPaS4 crystal, from Alexandria via LeMat-Bulk.

a = 8.403 Å, b = 8.471 Å, c = 8.517 Å
α = 120.18°, β = 90.00°, γ = 119.74°
Atoms (fractional coordinates):
1 K 0.875 0.749 0.125
2 K 0.125 0.251 0.875
3 Sm 0.500 0.000 0.500
4 Sm 0.500 0.000 0.000
5 Pa 0.500 0.500 0.500
6 Pa 0.000 0.500 0.500
7 S 0.735 0.470 0.693
8 S 0.306 0.049 0.275
9 S 0.743 0.049 0.275
10 S 0.735 0.470 0.277
11 S 0.265 0.530 0.723
12 S 0.694 0.951 0.725
13 S 0.257 0.951 0.725
14 S 0.265 0.530 0.307

formation energy without anion corrections = -1.705 eV/atom
space-group type = Imma, No. 74

***

6.
The following is a PBE calculation of a relaxed U2MnCo3B12 crystal, from Alexandria via LeMat-Bulk.

a = 7.989 Å, b = 7.989 Å, c = 7.989 Å
α = 38.74°, β = 38.74°, γ = 38.74°
Atoms (fractional coordinates):
1 U 0.643 0.643 0.643
2 U 0.357 0.357 0.357
3 Mn 0.000 0.000 0.000
4 Co 0.500 0.000 0.000
5 Co 0.000 0.500 0.000
6 Co 0.000 0.000 0.500
>>>
# The page goes on


Christen said...

Stef, this sounds so frustrating! I have a friend out here who went through the same thing with one of her twins (a boy as well) and I'm sure she'd be happy to talk to you -- she knows a lot about a lot of things and she will talk your ear off like you wouldn't believe and that's coming from ME. ha! Anyway, if you want to get in touch with her I can give you her email or phone#. Let me know.

Tiffany said...

I don't know what your Dr. would say about this, but my Dr. would suggest coconut oil, instead of canola oil. I personally love the stuff. good luck!

Jeni said...

I hope my comment doesn't show up twice, it was being weird - Anyway. I am so sorry this is so stressful! I know when we were going through it with Bennett it consumed nearly every thought of every day. You both will be on our prayers - and if you need to borrow Lanie's NG tube, let me know!

cory and tara said...

Stef! I am so sorry. I had no idea how crazy this had become. I wish I had something helpful to say! I will be thinking about you.

kristi said...

SORRY STEF!! I can't imagine how frustrating and stressful that would be. That is very hard. I wish I had some good ideas. Sorry to say I just don't right now. You hear about how the rise of allergies (with gluten, diary, etc.) is getting so much more common - but it's hard when you don't know what it is. You're in our prayers!!

The Hoods said...

oh stef, I am so sorry. That is a hard thing to deal with. I hope that he will soon be able to just sit and eat anything and save you from all this worrying!!

Cheryl said...

Stef, have you guys tried Pedialyte, gatorade or popsicles for fluids? As far as calories go have you checked any of the health food stores, sometimes they sell things in powder form like protein powder with higher calories, you can also try some of the formulas for older kids, like "Enfamil Next Step" (can he have that?) it has a higher calorie total than regular formula. I know that isn't much, but it might help. I'll keep my eyes open at work for any other suggestions for you!